News 21 Dec, 2021

Group Reinsurance Rates 2022/2023

Simon Parrott
Simon Parrott
Joint Chief Underwriting Officer

The arrangements for the renewal of the International Group General Excess of Loss (GXL) reinsurance contract and the Hydra reinsurance programme for 2022/23 have now been finalised. These include the Collective Overspill Cover; Excess War Risks P&I cover and MLC cover.

Given the hardening market conditions and the deterioration in the Group’s claims record (which, together with securing uniquely high levels of cover for malicious cyber and pandemic risks, has been the main driver in the increase in rates), the Group has agreed to a significant increase in premiums to the markets to renew its 2022 reinsurance programme.

In order to achieve this, there have been some adjustments to the main GXL placement.

The main GXL placement (layers 1-3, US$2 billion excess of US$100m) has now been split into four layers, with the Collective Overspill renewed excess of the GXL, and the three private placements also maintained in place. As such, the entire commercial market placement can be summarised as follows:

  • Private Placements:
    30% of the Layer US$650m excess of US$100m has been secured on expiring coverage terms. This percentage is covered by three private market placements which are renewed independently of the main GXL programme.

  • Main General Excess of Loss:
    With regard to the 70% balance of the expiring Layer 1 and the expiring Layers 2 and 3 of the previous structure, a change was negotiated with the reinsurance markets, as follows:

    The expiring Layer 1 (US$650m excess of US$100m) has been split into a new Layer 1 (US$450m excess of US$100m) and a new Layer 2 (US$200m excess of US$550m).

**Between two parts of the text: data records**
'''
## a
Below is crystalline FeB6O6 at its relaxed geometry, with properties calculated at the PBE+U level.

Results
Crystal system: monoclinic

```
FeB6O6
1.0
-3.095 -5.361 -0.995
2.575 -5.061 -0.497
-1.203 -2.084 3.073
Fe B O
1 6 6
direct
0.000 0.000 0.000
0.627 0.000 0.718
0.373 0.000 0.282
0.418 0.505 0.857
0.582 0.495 0.143
0.923 0.495 0.857
0.077 0.505 0.143
0.603 0.271 0.529
0.397 0.729 0.471
0.357 0.000 0.922
0.125 0.271 0.471
0.643 0.000 0.078
0.875 0.729 0.529
```

## b
Below is crystalline FeB6O6 at its relaxed geometry, with properties calculated at the PBE+U level.

Results
Crystal system: monoclinic

```
FeB6O6
1.0
-3.994 3.980 -5.905
-3.888 -0.049 -3.048
-5.264 4.780 2.169
Fe B O
1 6 6
direct
0.000 0.000 0.000
0.576 0.000 0.771
0.424 0.000 0.229
0.655 0.335 0.899
0.345 0.665 0.101
0.991 0.665 0.899
0.009 0.335 0.101
0.284 0.440 0.766
0.716 0.560 0.234
0.745 0.000 0.788
0.276 0.440 0.234
0.255 0.000 0.212
0.724 0.560 0.766
```

Best to worst by energy: b, a.

## a
Below is crystalline Fe3BO5 at its relaxed geometry, with properties calculated at the PBE+U level.

Results
Crystal system: orthorhombic

```
Fe3BO5
1.0
3.104 0.000 0.000
0.000 9.639 0.000
0.000 0.000 12.495
Fe B O
12 4 20
direct
0.500 0.500 0.000
0.500 0.000 0.500
0.500 0.744 0.386
0.000 0.001 0.725
0.000 0.999 0.275
0.000 0.499 0.225
0.500 0.756 0.886
0.000 0.501 0.775
0.000 0.500 0.500
0.500 0.256 0.614
0.500 0.244 0.114
0.000 0.000 0.000
0.500 0.734 0.638
0.500 0.766 0.138
0.500 0.234 0.862
0.500 0.266 0.362
0.500 0.659 0.542
0.500 0.377 0.861
0.000 0.112 0.141
0.000 0.118 0.583
0.500 0.339 0.265
0.500 0.623 0.139
0.000 0.382 0.083
0.000 0.612 0.359
0.000 0.888 0.859
0.000 0.618 0.917
0.000 0.882 0.417
0.500 0.839 0.235
0.500 0.341 0.458
0.500 0.661 0.735
0.500 0.159 0.958
0.500 0.841 0.042
0.000 0.388 0.641
0.500 0.123 0.361
0.500 0.161 0.765
0.500 0.877 0.639
```

## b
Below is crystalline Fe3BO5 at its relaxed geometry, with properties calculated at the PBE+U level.

Results
Crystal system: orthorhombic

```
Fe3BO5
1.0
-2.170 -5.657 -0.779
5.490 -1.056 -7.627
9.209 -4.532 7.256
Fe B O
24 8 40
direct
0.750 0.497 0.002
0.750 0.003 0.502
0.750 0.256 0.611
0.512 0.000 0.278
0.012 0.000 0.722
0.250 0.260 0.612
0.512 0.500 0.778
0.988 0.500 0.778
0.750 0.244 0.111
0.250 0.240 0.112
0.012 0.500 0.222
0.500 0.500 0.500
0.250 0.997 0.498
0.250 0.503 0.998
0.488 0.000 0.722
0.488 0.500 0.222
0.988 0.000 0.278
0.750 0.740 0.388
0.000 0.500 0.500
0.750 0.760 0.888
0.000 0.000 0.000
0.250 0.756 0.889
0.500 0.000 0.000
0.250 0.744 0.389
0.250 0.271 0.360
0.750 0.223 0.859
0.250 0.777 0.141
0.750 0.771 0.140
0.250 0.723 0.641
0.250 0.229 0.860
0.750 0.729 0.640
0.750 0.277 0.359
0.750 0.350 0.454
0.250 0.630 0.141
0.498 0.897 0.857
0.504 0.890 0.422
0.250 0.650 0.737
0.250 0.376 0.859
0.996 0.610 0.922
0.998 0.397 0.643
0.502 0.397 0.643
0.996 0.890 0.422
0.998 0.103 0.143
0.496 0.390 0.078
0.502 0.103 0.143
0.504 0.610 0.922
0.496 0.110 0.578
0.250 0.156 0.765
0.750 0.654 0.545
'''

    The US$100m AAD (retained by the Group’s captive Hydra), within the 70% market share of Layer 1 of the programme remains in place.

    Excess of the new Layer 2, the layers remain as US$750m excess of US$750m (Layer 3), and US$ 600m excess of US$ 1.5bn (Layer 4). Both these Layers are placed 100% in the market.

  • These placements have been renewed with unamended, free and unlimited, coverage for all risks except for Malicious Cyber, Covid and Pandemic risks. For these risks, there is free and unlimited cover for claims up to US$450m excess of US$100m, covering almost all Group Clubs’ certificated risks.

    Excess of US$550m there is up to US$2.15 bn of annual aggregated cover in respect of these three risks. Excess of that, the Group has decided to pool between Group Clubs the un-reinsured risks, resulting in no change to Members’ cover.

  • Other placements: The Collective Overspill (US$1bn excess of US$2.1 bn) and ancillary covers are being renewed with premiums included within the overall rate per GT.

Individual Club retention remains unchanged for the 2022/23 policy year at US$10 million, as does the structure of the Pool and the attachment point for the GXL programme.

Hydra participation

The Group’s Bermudan based reinsurance captive Hydra continues to provide cover within the pooled layers of the programme and a US$100 million AAD in the 70% market share of layer 1 of the GXL programme

MLC cover

The MLC market reinsurance cover is being renewed for 2022 at competitive market terms, with the premium included in the overall reinsurance rates charged to shipowners.

Excess War cover

The excess War P&I cover will be renewed for 2022 for a period of 12 months. Again, this will be included in the total rates charged to shipowners.

Reinsurance cost allocation 2022

As part of its annual analysis to ensure the fairness of cost allocation between different vessel types, the Reinsurance Committee has also considered its current vessel categories.

The conclusions of the RIC are that there should be no change in the number of categories but that there should be some adjustments to the relative rate changes having regard to historical claims performance.  

The 2022 rates are set out below:

Tonnage category2022 $ rate per GT
% change in rate per GT
Persistent Oil tankers
Clean Tankers

As is customary, the 2022/23 Mutual call will be adjusted to reflect these rates and split evenly across all instalments.

If you have any questions, please contact the Underwriting department.